Job
It remains to give back the lines below from the one with "15.713" to the one with "-31.02 -31.53" verbatim.

Source
No. 1
A relaxed NdErCd2Hg4 crystal. Source: Alexandria via LeMat-Bulk, functional PBE.

Properties
Space-group type: R-3m, No. 166

```
8
Lattice="2.562 1.479 8.425 -2.562 1.479 8.425 0.000 -2.958 8.425" Properties=species:S:1:pos:R:3 pbc="T T T"
Nd 0.000 0.000 0.000
Er 0.000 0.000 12.637
Cd 0.000 0.000 6.326
Cd 0.000 0.000 18.947
Hg 0.000 0.000 3.233
Hg 0.000 0.000 9.567
Hg 0.000 0.000 15.706
Hg 0.000 0.000 22.041
```

---

No. 2
A relaxed ErCdNiHg crystal. Source: Alexandria via LeMat-Bulk, functional PBE.

Properties
Space-group type: F-43m, No. 216

```
4
Lattice="0.000 3.425 3.425 3.425 0.000 3.425 3.425 3.425 0.000" Properties=species:S:1:pos:R:3 pbc="T T T"
Er 0.000 0.000 0.000
Cd 3.425 3.425 3.425
Ni 1.712 1.712 1.712
Hg 5.137 5.137 5.137
```

---

No. 3
A relaxed Er4CdHg2Pd crystal. Source: Alexandria via LeMat-Bulk, functional PBE.

Properties
Space-group type: R-3m, No. 166

```
8
Lattice="2.580 1.489 8.364 -2.580 1.489 8.364 0.000 -2.979 8.364" Properties=species:S:1:pos:R:3 pbc="T T T"
Er 0.000 0.000 2.952
Er 0.000 0.000 9.277
Er 0.000 0.000 15.816
Er 0.000 0.000 22.141
Cd 0.000 0.000 12.546
Hg 0.000 0.000 6.098
Hg 0.000 0.000 18.994
Pd 0.000 0.000 0.000
```

---

No. 4
A relaxed PmErCdHg crystal. Source: Alexandria via LeMat-Bulk, functional PBE.

Properties
Space-group type: F-43m, No. 216

```
4
Lattice="0.000 3.763 3.763 3.763 0.000 3.763 3.763 3.763 0.000" Properties=species:S:1:pos:R:3 pbc="T T T"
Pm 0.000 0.000 0.000
Er 3.763 3.763 3.763
Cd 1.881 1.881 1.881
Hg 5.644 5.644 5.644
```

---

No. 5
A relaxed PrEr2CdHg4 crystal. Source: Alexandria via LeMat-Bulk, functional PBE.

Properties
Space-group type: R-3m, No. 166

```
8
Lattice="2.542 1.468 9.151 -2.542 1.468 9.151 0.000 -2.935 9.151" Properties=species:S:1:pos:R:3 pbc="T T T"
Pr 0.000 0.000 0.000
Er 0.000 0.000 6.560
Er 0.000 0.000 20.893
Cd 0.000 0.000 13.726
Hg 0.000 0.000 3.412
Hg 0.000 0.000 10.482
Hg 0.000 0.000 16.971
Hg 0.000 0.000 24.041
```

---

No. 6
A relaxed ErCdHgPt crystal. Source: Alexandria via LeMat-Bulk, functional PBE.

Properties
Space-group type: F-43m, No. 216

```
4
Lattice="0.000 3.474 3.474 3.474 0.000 3.474 3.474 3.474 0.000" Properties=species:S:1:pos:R:3 pbc="T T T"
Er 0.000 0.000 0.000
Cd 3.474 3.474 3.474
Hg 1.737 1.737 1.737
Pt 5.211 5.211 5.211
```

---

No. 7
A relaxed Er4CdHg2Pt crystal. Source: Alexandria via LeMat-Bulk, functional PBE.

Properties
Space-group type: R-3m, No. 166

```
8
Lattice="2.573 1.485 8.366 -2.573 1.485 8.366 0.000 -2.971 8.366" Properties=species:S:1:pos:R:3 pbc="T T T"
Er 0.000 0.000 2.901
Er 0.000 0.000 9.246
Er 0.000 0.000 15.852
Er 0.000 0.000 22.197
Cd 0.000 0.000 12.549
Hg 0.000 0.000 6.028
Hg 0.000 0.000 19.070
Pt 0.000 0.000 0.000
```

---

No. 8
A relaxed Er4CdHg2Rh crystal. Source: Alexandria via LeMat-Bulk, functional PBE.

Properties
Space-group type: R-3m, No. 166

```
8
Lattice="2.570 1.484 8.288 -2.570 1.484 8.288 0.000 -2.968 8.288" Properties=species:S:1:pos:R:3 pbc="T T T"
Er 0.000 0.000 2.833
Er 0.000 0.000 9.150
Er 0.000 0.000 15.713
Er 0.000 0.000 22.030
Cd 0.000 0.000 12.432
Hg 0.000 0.000 5.965
Hg 0.000 0.000 18.898
Rh 0.000 0.000 0.000
```

---

Final energy / eV per cell: -15.39 -12.41 -29.35 -12.08 -19.21 -14.16 -31.02 -31.53
Formation energy / eV per atom: -0.378 -0.211 -0.548 -0.387 -0.398 -0.585 -0.651 -0.551

Solution
Er 0.000 0.000 15.713
Er 0.000 0.000 22.030
Cd 0.000 0.000 12.432
Hg 0.000 0.000 5.965
Hg 0.000 0.000 18.898
Rh 0.000 0.000 0.000
```

---

Final energy / eV per cell: -15.39 -12.41 -29.35 -12.08 -19.21 -14.16 -31.02 -31.53